This is an AU–fic! It is supposed to be a you-fic, but since it is not allowed, it has turned into an I-fic. Just pretend that you are talking… Oh, and your name is Yufina Loxelanne (weird name, is it?)

Disclaimer: Shaman King is not mine!!! (I wish it is…)

"The reflection of Light & Darkness"

---Chapter I---

Sudden Notice

In this world, there are only three clans: Light Elne, Dark Lore, and Ze Lumar. The Lighe Elne and the Dark Lore are always in disagreement and hate each other. On the other hand, the Ze Lumar is neutral.

Marriage between the Light Elne and Dark Lore are forbidden, except arranged marriage of a boy and a girl from each of those two clans. There are only two inter-clan marriages per generation. Often, they will not stay together because of the environment they are in and of the disagreements of view.

Of course, there is still the human clan who is unaware of all those tensions. Some kids from the clan will go to the human world to study because they lack in power, or they are slacked from the family or clan.


"Yufina chan!"

Someone calls me with a loud yet sweet voice. I really don't like this name, but it is the ONLY thing that my mother and father agree on.

"Hey, Katia chan."

These data records were left in the entry by mistake:
- - -
[1]
Structure and simulated PXRD pattern of Tb6InRh5 (a cell relaxed with PBE; λ = 1.5418 Å (Cu Kα)).
Peak positions follow from Bragg's law for the DFT cell and can differ from measured ones.

Cell and atoms:
```
data_Tb6InRh5
_space_group_name_H-M_alt 'I m m m'
_space_group_IT_number 71
_space_group_name_Hall '-I 2 2'
_cell_length_a 4.883
_cell_length_b 7.170
_cell_length_c 14.681
_cell_angle_alpha 90.00
_cell_angle_beta 90.00
_cell_angle_gamma 90.00
loop_
_atom_site_label
_atom_site_type_symbol
_atom_site_fract_x
_atom_site_fract_y
_atom_site_fract_z
Tb1 Tb 0.000 0.231 0.000
Tb2 Tb 0.000 0.259 0.328
In1 In 0.000 0.000 0.500
Rh1 Rh 0.000 0.000 0.169
Rh2 Rh 0.000 0.500 0.161
Rh3 Rh 0.000 0.500 0.500
```

The 10 most intense peaks (15 to 90 degrees two-theta), sorted by position:
| d_spacing | 2theta | I (rel.) |
| --- | --- | --- |
| 2.488 | 36.10 | 1000 |
| 2.444 | 36.77 | 480 |
| 1.792 | 50.95 | 89 |
| 1.728 | 52.98 | 165 |
| 1.445 | 64.46 | 172 |
| 1.421 | 65.73 | 163 |
| 1.418 | 65.85 | 171 |
| 1.244 | 76.58 | 103 |
| 1.129 | 86.09 | 73 |
| 1.097 | 89.31 | 74 |



[2]
Structure and simulated PXRD pattern of Pm4PtSe3 (a cell relaxed with PBE; λ = 1.5418 Å (Cu Kα)).
Peak positions follow from Bragg's law for the DFT cell and can differ from measured ones.

Cell and atoms:
```
data_Pm4PtSe3
_space_group_name_H-M_alt 'C m m m'
_space_group_IT_number 65
_space_group_name_Hall '-C 2 2'
_cell_length_a 8.526
_cell_length_b 11.987
_cell_length_c 4.140
_cell_angle_alpha 90.00
_cell_angle_beta 90.00
_cell_angle_gamma 90.00
loop_
_atom_site_label
_atom_site_type_symbol
_atom_site_fract_x
_atom_site_fract_y
_atom_site_fract_z
Pm1 Pm 0.000 0.248 0.000
Pm2 Pm 0.237 0.000 0.500
Pt1 Pt 0.000 0.000 0.000
Se1 Se 0.000 0.500 0.000
Se2 Se 0.250 0.250 0.500
```

The 10 most intense peaks (15 to 90 degrees two-theta), sorted by position:
| d_spacing | 2theta | I (rel.) |
| --- | --- | --- |
| 2.997 | 29.81 | 516 |
| 2.970 | 30.09 | 1000 |
| 2.131 | 42.41 | 191 |
| 2.109 | 42.87 | 760 |
| 2.070 | 43.73 | 181 |
| 1.737 | 52.70 | 203 |
| 1.703 | 53.82 | 197 |
| 1.338 | 70.38 | 174 |
| 1.331 | 70.81 | 167 |
| 1.226 | 77.91 | 188 |



[3]
Structure and simulated PXRD pattern of InPt2Pb (a cell relaxed with PBE; λ = 1.5418 Å (Cu Kα)).
Peak positions follow from Bragg's law for the DFT cell and can differ from measured ones.

Cell and atoms:
```
data_InPt2Pb
_space_group_name_H-M_alt 'P b c m'
_space_group_IT_number 57
_cell_length_a 8.624
_cell_length_b 7.292
_cell_length_c 5.568
_cell_angle_alpha 90.00
_cell_angle_beta 90.00
_cell_angle_gamma 90.00
loop_
_space_group_symop_operation_xyz
'x,y,z'
'-x,-y,-z'
'-x,-y,z+1/2'
'x,y,-z+1/2'
'x,-y+1/2,-z'
'-x,y+1/2,z'
'-x,y+1/2,-z+1/2'
'x,-y+1/2,z+1/2'
loop_
_atom_site_label
_atom_site_type_symbol
_atom_site_fract_x
_atom_site_fract_y
_atom_site_fract_z
In1 In 0.123 0.085 0.250
Pt1 Pt 0.117 0.750 0.000
Pt2 Pt 0.367 0.250 0.000
Pb1 Pb 0.372 0.588 0.250
```
- - -

"Why are you running? The course only starts in ten minutes. You have plenty of time to walk there!"

The piece is interrupted by crystal structures.
********
Theoretical powder X-ray diffraction pattern
Compound: TmLu3
Radiation: CuKα
Structure: a structure optimized by DFT (PBE)
Peak positions follow from Bragg's law for the DFT cell and can differ from measured ones.

Principal peaks in the range 10° ≤ 2θ ≤ 80°, by angle:
2θ (°)	d (Å)	I/Imax	(hkl)
29.3	3.052	238	2 0 0
32.5	2.753	242	0 0 2
33.6	2.670	1000	2 0 1
44.3	2.044	156	2 0 2
51.9	1.762	197	2 2 0
58.7	1.573	204	2 0 3
62.6	1.484	225	2 2 2
63.2	1.471	163	4 0 1

Cell and atoms:
Unit cell a=7.0488 b=7.0488 c=5.5062 alpha=90.00 beta=90.00 gamma=120.00
Atoms (fractional coordinates):
1 Tm 0.3333 0.6667 0.2500
2 Tm 0.6667 0.3333 0.7500
3 Lu 0.1665 0.3329 0.7500
4 Lu 0.1665 0.8335 0.7500
5 Lu 0.3329 0.1665 0.2500
6 Lu 0.6671 0.8335 0.7500
7 Lu 0.8335 0.1665 0.2500
8 Lu 0.8335 0.6671 0.2500
********

"I just want to get there in advance. I have a report to hand in to the teacher."

"You are always in a hurry and busy. Miss perfect A-student, Miss model student, Miss student body president…."

"You don't have the right to say that to me! You are also a straight A student and vice president!"

"Oh yeah, I forgot."

That is Katia, my best friend. We have been going to the same school for years. She is a little bit lazy but is the best friend one can ever get.

Here the page breaks off for crystal structures >
____________
Ho4AgSb: theoretical powder X-ray diffraction pattern (λ = 1.5418 Å (Cu Kα)), based on a crystal structure in Alexandria, relaxed with PBE.

Structure:
a b c (Å): 7.796 7.159 6.797
angles (deg): 90.00 93.70 90.00
Atoms (fractional coordinates):
Ho: 0.145 0.150 0.390
Ho: 0.145 0.350 0.890
Ho: 0.281 0.681 0.302
Ho: 0.281 0.819 0.802
Ho: 0.719 0.181 0.198
Ho: 0.719 0.319 0.698
Ho: 0.855 0.650 0.110
Ho: 0.855 0.850 0.610
Ag: 0.000 0.000 0.000
Ag: 0.000 0.500 0.500
Sb: 0.500 0.000 0.500
Sb: 0.500 0.500 0.000

Main lines, in order of rising 2θ (2θ from 15° to 90°):
| index | 2θ (°) | intensity |
| --- | --- | --- |
| 2 1 0 | 26.1 | 82 |
| 0 2 1 | 28.2 | 92 |
| 1 0 2 | 29.4 | 62 |
| 1 2 -1 | 30.2 | 49 |
| 1 1 -2 | 30.7 | 100 |
| 2 2 0 | 34.0 | 63 |
| 2 0 2 | 36.2 | 63 |
| 2 2 1 | 37.2 | 52 |
____________

"Have you heard from your parents yet? There is a meet the parents day tomorrow."

"Katia, since when did my parents come? Besides, I wish that they don't." They will scare away everybody.

"But EVERYONE wants to see the parents that raise you so well!"

"We are going to be late if we continue on talking."

"Huh? Oh yeah! Hey! Don't change the subject! Yufina chan!!!"


It is not that I hate my parents. I love them very much. It is just that I really hate to stand out with all their weirdness. They are not really weird but are just not adapted to the normal life that I am having right now. Besides, my mother and father never talk to each other. They are both remarried.

Well, they are from the Dark Lore and Light Elne clans. They are one of the two couples that are forced to marry the one in the other clan, and I am their kid. I heard that the other couple that has to marry has twin brothers. However, one of them has purely the power of Light Elne, and the other has purely the power Dark Lore. They are raised separately and have never seen each other, or so I heard.

Me? I am from neither the clans. Technically, I can be either in the Light Elne clan or in the Dark Lore clan. Nevertheless, I have never shown ANY of my power to put in either clan. My mother is the one who raised me. My stepfather doesn't really know that I am my father's daughter. In fact, no one else than my mother, my father, and I know. My stepfather doesn't like me much, so I have been going to the human world for quite a while. My mother and father send me monthly messages to ask for my health and to give me money, but that is all they do.

People think that I have a sad life, but I live alone and happy. I have friends, fame, and everything that I want. I don't need anything else.


"Yufina chan, do you want to go for an ice cream?"

"Sure, just wait until I finish the report that the teacher gives me today."

"Oh come on! You only have half an hour before your part-time job! We won't have enough time for both!"

"We will! I'll just have to finish this paragraph…"

"Yeah, right. You… Wow! There is something flying in the sky! No! Two things… Are they birds? A white one and a dark one…"

As soon as I hear that, I know that my mother and father have sent me their spirits to give me their monthly messages. It is quite weird that Katia can see spirits.

"Katia chan, why don't you wait for me in the ice cream parlor? I'll join you there!"

"But those birds…"

"You can see them anytime! Come on, let's go buy some ice cream."

"Two balls: tuff chocolate and praline with cream?"

"You read my mind. Come on, go go!"

After Katia is gone, I open the window to let those spirits in. As usual, they give me the parchments and fly away without saying hi.

I open the message from my mom and read it.


your fiancée: Asakura Hao, Dark Lore.

Marry in a year.


WHAT? Fiancée? I am only 16! I am not old enough! I still have a future in front of me! I am still young!!!

I quickly open the one from my father. I wish, no, hope, no… beg that it is not something alike…

"Yufina! My cute-adorable-honeybee-sweet-baby girl!

I am sure that you have waited a long time for my message!

I know that you are! Isn't that right? My little-darling-pumkin….

(I skip half the parchment roll to get to the main point)

You know that I really love you, and that I never ever want to let you go, but…

You are old now!

You will have to go away from my warm-passionate embrace one day…


Surprisingly, his message is not this long… It is rather short this time. Short?

I take out a loop and search for a hidden message. At the bottom of the message, in a minuscule handwriting, there is another message:

"P.S.:I hope that you won't see this…

But I still have to tell you or you will never talk to me again!

Remember that I am your dad who loves and cares for you more than anyone in the world!

Well… The thing is that… I got you a fiancée!

He is from Light Elne… His name is Asakura Yoh.

Please! Don't kill me! You have to get marry in a year!"



"Yufina chan! You are late! Your ice cream is starting to melt. Are you ok? You seem to be distressed."

"My idiot parents!"

"What did they do this time? They forgot to give you money?"


"They forced you to exchange school?"


"They ask you for giving them a full-set of pictures for each second of your life? Oh no, that's only from your dad."

"They got me a fiancée."

"This is not that bad. You can still refuse him if he is not cute enough."

"But they BOTH give me ONE!"

"What? You have two fiancées? That is so hot!"

"Yeah, if you are not the one actually have two!"

"It's only fiancée. It is not like one of them is your husband."

"They both told me to get marry in a YEAR!"

"Wow, that's new. What do you plan to do?"

"I don't know…"

"Well, I have a proposition."


"If you can't refuse the marriage, make THEM refuse it."


"Disguise into something else, pretend to be the most disgusting person ever, something like that."

"That's a good idea! But… I will have to change school then…"

"I will go with you, so don't worry."


"My parents won't be mad or sad. They think that you are the reason why I am the me of right now."

"No… It is just that you are not allowed to go to there…"


"It is a school for the… hum… rich people."


"So you can't go…"

"That's fine. We'll just e-mail each other. I'll be your secret advisor!"

"Thanks, Katia."

"You are welcome!"


Having Katia's words, I already feel much more comfortable. When I am back home, I wash my black long hair. The tainted color goes away and reveals my red hair. I take off my black colored lenses… I stare at myself in the mirror. One green and one red. My eyes are not in the same color.

My mother has red hair and green eyes, and my father has black hair and red eyes. My red eye is the only thing I get from my father. My stepfather always complains about that eye. He hates it. He has no clue why I have a red eye. He usually asks me to disguise myself or not to look at him. I just hope that this will scare away my two soon-not-to-be fiancées, Asakura Hao and Asakura Yoh.

Asakura? Both of them? Wait… if Hao is Dark Lore, and Yoh is Light Elne… It means that… they are the twins that their parents have inter-clan marriage too! So… They will not mind that I'm a half-breed!

This is not good at all… Really not good…


Here it is, a first chappie! Review to tell me what you think of it!